Work order.
The reader should filter the notes further down: keep the lines with the word "excess".
Entries.
=====
Ga2PS | Alexandria via LeMat-Bulk | PBE | optimized geometry; mass density = 4.87 g cm⁻³; formation energy from raw total energies = 0.2314 eV/atom; excess energy over the best structure of this formula in the dataset = 1.916 eV/f.u.; volume = 17.25 Å³ per atom; electronic total energy = -0.26947 Ry/atom; N(E_F) = 3.37 states/eV/f.u.
1.0
0.0000 3.2552 3.2552
3.2552 0.0000 3.2552
3.2552 3.2552 0.0000
P S Ga
1 1 2
Direct
0.0000 0.0000 0.0000
0.5000 0.5000 0.5000
0.2500 0.2500 0.2500
0.7500 0.7500 0.7500
=====
Outcome.
Ga2PS | Alexandria via LeMat-Bulk | PBE | optimized geometry; mass density = 4.87 g cm⁻³; formation energy from raw total energies = 0.2314 eV/atom; excess energy over the best structure of this formula in the dataset = 1.916 eV/f.u.; volume = 17.25 Å³ per atom; electronic total energy = -0.26947 Ry/atom; N(E_F) = 3.37 states/eV/f.u.